Entry 1:
A plane-wave DFT calculation with PBE was carried out for a relaxed MnFe2W2 crystal.

The total energy comes out at -10.0552 eV per atom. Its density of states at the Fermi level is 2.606 states/eV per atom. The formation enthalpy at 0 K is 0.3451 eV per atom.

Cell: 6.701 6.701 2.936 Å, 90.00 90.00 90.00°
Space group P4/mbm (No. 127)
Symmetry-distinct sites (fractional):
Mn: 0.000 0.000 0.000 x2
Fe: 0.127 0.373 0.000 x4
W: 0.176 0.676 0.500 x4

Entry 2:
A plane-wave DFT calculation with PBE was carried out for a relaxed MnFeW crystal.

The total energy comes out at -10.2186 eV per atom. The distance to the lowest polymorph of the same formula comes out at 27 meV per atom. Its density of states at the Fermi level is 1.073 states/eV per atom. The formation enthalpy at 0 K is -0.0235 eV per atom.

Cell: 4.675 4.731 6.694 Å, 90.00 90.00 90.00°
Space group Imma (No. 74)
Symmetry-distinct sites (fractional):
Mn: 0.250 0.250 0.250 x4
Fe: 0.000 0.000 0.000 x4
W: 0.000 0.250 0.626 x4

Entry 3:
A plane-wave DFT calculation with PBE was carried out for a relaxed Mn2FeW crystal.

The total energy comes out at -9.7835 eV per atom. Its density of states at the Fermi level is 0.979 states/eV per atom. The formation enthalpy at 0 K is 0.1552 eV per atom.

Cell: 5.099 8.278 2.583 Å, 90.00 111.90 90.00°
Space group C2/m (No. 12)
Symmetry-distinct sites (fractional):
Mn: 0.250 0.250 0.000 x4
Fe: 0.000 0.000 0.500 x2
W: 0.000 0.500 0.500 x2

Entry 4:
A plane-wave DFT calculation with PBE was carried out for a relaxed MnFeW2 crystal.

The total energy comes out at -10.7492 eV per atom. The distance to the lowest polymorph of the same formula comes out at 34 meV per atom. Its density of states at the Fermi level is 0.881 states/eV per atom. The formation enthalpy at 0 K is 0.1355 eV per atom.

Cell: 2.649 4.306 4.957 Å, 90.00 99.17 90.00°
Space group Pm (No. 6)
Symmetry-distinct sites (fractional):
Mn: 0.000 0.000 0.000 x1
Fe: 0.211 0.500 0.747 x1
W: 0.481 0.000 0.514 x1
W: 0.728 0.500 0.230 x1

Entry 5:
A plane-wave DFT calculation with PBE was carried out for a relaxed MnFeW2 crystal.

The total energy comes out at -10.7364 eV per atom. The distance to the lowest polymorph of the same formula comes out at 47 meV per atom. Its density of states at the Fermi level is 0.867 states/eV per atom. The formation enthalpy at 0 K is 0.1482 eV per atom.

Cell: 3.121 4.303 8.304 Å, 90.00 90.00 90.00°
Space group Cmmm (No. 65)
Symmetry-distinct sites (fractional):
Mn: 0.000 0.000 0.000 x2
Fe: 0.000 0.000 0.500 x2
W: 0.000 0.500 0.249 x4

Entry 6:
A plane-wave DFT calculation with PBE was carried out for a relaxed MnFeW crystal.

The total energy comes out at -10.0514 eV per atom. The distance to the lowest polymorph of the same formula comes out at 194 meV per atom. Its density of states at the Fermi level is 0.615 states/eV per atom. The formation enthalpy at 0 K is 0.1437 eV per atom.

Cell: 2.604 2.604 11.322 Å, 90.00 90.00 90.00°
Space group I4mm (No. 107)
Symmetry-distinct sites (fractional):
Mn: 0.000 0.000 0.000 x2
Fe: 0.000 0.000 0.361 x2
W: 0.000 0.000 0.682 x2


# Er4Tm2Bi, relaxed, DFT PBE
data_Er4Tm2Bi
_chemical_formula_sum 'Er8 Tm4 Bi2'
_symmetry_space_group_name_H-M 'P 1'
_symmetry_Int_Tables_number 1
_cell_length_a 6.1372
_cell_length_b 11.9262
_cell_length_c 6.0212
_cell_angle_alpha 90.00
_cell_angle_beta 90.00
_cell_angle_gamma 90.00
loop_
_symmetry_equiv_pos_as_xyz
'x,y,z'
loop_
_atom_site_label
_atom_site_fract_x
_atom_site_fract_y
_atom_site_fract_z
Er1 0.0000 0.1318 0.0000
Er2 0.0000 0.3315 0.5000
Er3 0.0000 0.6685 0.5000
Er4 0.0000 0.8682 0.0000
Er5 0.5000 0.1685 0.5000
Er6 0.5000 0.3682 0.0000
Er7 0.5000 0.6318 0.0000
Er8 0.5000 0.8315 0.5000
Tm1 0.0000 0.3822 0.0000
Tm2 0.0000 0.6178 0.0000
Tm3 0.5000 0.1178 0.0000
Tm4 0.5000 0.8822 0.0000
Bi1 0.0000 0.0000 0.5000
Bi2 0.5000 0.5000 0.5000
# calculated formation energy = 3.0 eV per formula unit
# total moment = 0.000 μB/atom
# symmetry = Cmmm (65)

Could you quote all of the block earlier on exactly?

Entry 1:
A plane-wave DFT calculation with PBE was carried out for a relaxed MnFe2W2 crystal.

The total energy comes out at -10.0552 eV per atom. Its density of states at the Fermi level is 2.606 states/eV per atom. The formation enthalpy at 0 K is 0.3451 eV per atom.

Cell: 6.701 6.701 2.936 Å, 90.00 90.00 90.00°
Space group P4/mbm (No. 127)
Symmetry-distinct sites (fractional):
Mn: 0.000 0.000 0.000 x2
Fe: 0.127 0.373 0.000 x4
W: 0.176 0.676 0.500 x4

Entry 2:
A plane-wave DFT calculation with PBE was carried out for a relaxed MnFeW crystal.

The total energy comes out at -10.2186 eV per atom. The distance to the lowest polymorph of the same formula comes out at 27 meV per atom. Its density of states at the Fermi level is 1.073 states/eV per atom. The formation enthalpy at 0 K is -0.0235 eV per atom.

Cell: 4.675 4.731 6.694 Å, 90.00 90.00 90.00°
Space group Imma (No. 74)
Symmetry-distinct sites (fractional):
Mn: 0.250 0.250 0.250 x4
Fe: 0.000 0.000 0.000 x4
W: 0.000 0.250 0.626 x4

Entry 3:
A plane-wave DFT calculation with PBE was carried out for a relaxed Mn2FeW crystal.

The total energy comes out at -9.7835 eV per atom. Its density of states at the Fermi level is 0.979 states/eV per atom. The formation enthalpy at 0 K is 0.1552 eV per atom.

Cell: 5.099 8.278 2.583 Å, 90.00 111.90 90.00°
Space group C2/m (No. 12)
Symmetry-distinct sites (fractional):
Mn: 0.250 0.250 0.000 x4
Fe: 0.000 0.000 0.500 x2
W: 0.000 0.500 0.500 x2

Entry 4:
A plane-wave DFT calculation with PBE was carried out for a relaxed MnFeW2 crystal.

The total energy comes out at -10.7492 eV per atom. The distance to the lowest polymorph of the same formula comes out at 34 meV per atom. Its density of states at the Fermi level is 0.881 states/eV per atom. The formation enthalpy at 0 K is 0.1355 eV per atom.

Cell: 2.649 4.306 4.957 Å, 90.00 99.17 90.00°
Space group Pm (No. 6)
Symmetry-distinct sites (fractional):
Mn: 0.000 0.000 0.000 x1
Fe: 0.211 0.500 0.747 x1
W: 0.481 0.000 0.514 x1
W: 0.728 0.500 0.230 x1

Entry 5:
A plane-wave DFT calculation with PBE was carried out for a relaxed MnFeW2 crystal.

The total energy comes out at -10.7364 eV per atom. The distance to the lowest polymorph of the same formula comes out at 47 meV per atom. Its density of states at the Fermi level is 0.867 states/eV per atom. The formation enthalpy at 0 K is 0.1482 eV per atom.

Cell: 3.121 4.303 8.304 Å, 90.00 90.00 90.00°
Space group Cmmm (No. 65)
Symmetry-distinct sites (fractional):
Mn: 0.000 0.000 0.000 x2
Fe: 0.000 0.000 0.500 x2
W: 0.000 0.500 0.249 x4

Entry 6:
A plane-wave DFT calculation with PBE was carried out for a relaxed MnFeW crystal.

The total energy comes out at -10.0514 eV per atom. The distance to the lowest polymorph of the same formula comes out at 194 meV per atom. Its density of states at the Fermi level is 0.615 states/eV per atom. The formation enthalpy at 0 K is 0.1437 eV per atom.

Cell: 2.604 2.604 11.322 Å, 90.00 90.00 90.00°
Space group I4mm (No. 107)
Symmetry-distinct sites (fractional):
Mn: 0.000 0.000 0.000 x2
Fe: 0.000 0.000 0.361 x2
W: 0.000 0.000 0.682 x2


# Er4Tm2Bi, relaxed, DFT PBE
data_Er4Tm2Bi
_chemical_formula_sum 'Er8 Tm4 Bi2'
_symmetry_space_group_name_H-M 'P 1'
_symmetry_Int_Tables_number 1
_cell_length_a 6.1372
_cell_length_b 11.9262
_cell_length_c 6.0212
_cell_angle_alpha 90.00
_cell_angle_beta 90.00
_cell_angle_gamma 90.00
loop_
_symmetry_equiv_pos_as_xyz
'x,y,z'
loop_
_atom_site_label
_atom_site_fract_x
_atom_site_fract_y
_atom_site_fract_z
Er1 0.0000 0.1318 0.0000
Er2 0.0000 0.3315 0.5000
Er3 0.0000 0.6685 0.5000
Er4 0.0000 0.8682 0.0000
Er5 0.5000 0.1685 0.5000
Er6 0.5000 0.3682 0.0000
Er7 0.5000 0.6318 0.0000
Er8 0.5000 0.8315 0.5000
Tm1 0.0000 0.3822 0.0000
Tm2 0.0000 0.6178 0.0000
Tm3 0.5000 0.1178 0.0000
Tm4 0.5000 0.8822 0.0000
Bi1 0.0000 0.0000 0.5000
Bi2 0.5000 0.5000 0.5000
# calculated formation energy = 3.0 eV per formula unit
# total moment = 0.000 μB/atom
# symmetry = Cmmm (65)